Assignment >
Your job: search the rows further down for the word "Cell" and echo each line that has it.

Given >
........
# LaSmCoSi
Theoretical powder X-ray diffraction pattern, Cu Kα. Input: DFT lattice parameters and positions (GGA-PBE).

Largest 10 diffraction maxima, in order of falling intensity, 10° ≤ 2θ ≤ 80°:
- (2 0 1), 32.5 deg, intensity 100
- (2 0 -1), 25.6 deg, intensity 86
- (0 2 0), 44.6 deg, intensity 65
- (2 0 -3), 38.2 deg, intensity 58
- (1 1 1), 30.1 deg, intensity 51
- (0 0 1), 12.0 deg, intensity 36
- (0 0 2), 24.0 deg, intensity 30
- (3 1 1), 51.3 deg, intensity 24
- (0 2 4), 68.6 deg, intensity 23
- (1 1 -3), 41.4 deg, intensity 21

Cell and atoms:
```
LaSmCoSi
1.0
7.037 0.000 0.000
0.000 4.063 0.000
-2.358 0.000 7.401
La Sm Co Si
2 2 2 2
Cartesian
0.000 0.000 0.000
3.519 2.031 0.000
0.001 0.000 3.722
3.519 2.031 3.722
2.347 0.000 1.861
5.865 2.031 1.861
1.174 2.031 1.953
4.692 0.000 1.953
```

~~~~~

Structure and calculated X-ray diffraction stick pattern of CdAg4Ge2S7 (a crystal structure in the Materials Project, relaxed with PBE; Cu Kα, 1.54184 Å).
Peak positions follow from Bragg's law for the DFT cell and can differ from measured ones.

Main lines, by angle (10° ≤ 2θ ≤ 80°):
Position (°2θ)  intensity
25.36  62
25.70  33
26.86  69
28.48  51
29.05  100
44.50  28
45.11  45
48.08  24
48.82  23
49.16  25
52.94  16
53.61  17

Crystal structure
a b c (Å): 9.5558 9.5558 10.6502
angles (deg): 93.00 93.00 42.54
Fractional coordinates of all 28 atoms:
Cd 0.1802 0.8198 0.5000
Cd 0.8198 0.1802 0.0000
Ag 0.0414 0.6799 0.8081
Ag 0.3048 0.5469 0.1556
Ag 0.3248 0.9651 0.2102
Ag 0.5363 0.8900 0.5967
Ag 0.5469 0.3048 0.6556
Ag 0.6799 0.0414 0.3081
Ag 0.8900 0.5363 0.0967
Ag 0.9651 0.3248 0.7102
Ge 0.1147 0.4601 0.4543
Ge 0.4025 0.7520 0.8791
Ge 0.4601 0.1147 0.9543
Ge 0.7520 0.4025 0.3791
S 0.0151 0.3462 0.3064
S 0.0657 0.6961 0.3520
S 0.1823 0.4495 0.9942
S 0.2128 0.8564 0.0495
S 0.2856 0.6837 0.7272
S 0.3462 0.0151 0.8064
S 0.4495 0.1823 0.4942
S 0.4758 0.7449 0.4138
S 0.5916 0.9305 0.1266
S 0.6837 0.2856 0.2272
S 0.6961 0.0657 0.8520
S 0.7449 0.4758 0.9138
S 0.8564 0.2128 0.5495
S 0.9305 0.5916 0.6266
........

Result >
Cell and atoms: